Hi! Welcome to Say Tomato! The podcast about sustainable diets, ethical food, living lightly on the planet and … tomatoes.
### Here the article breaks off for calculated crystals
'''
VASP calculation (PBE) on a relaxed structure of Li5Hg4Au.

Output
Density of states at the Fermi level in states/eV/atom: 0.41
SG: P4/mmm
Formation energy in meV/atom: -400
Magnetization in μB/f.u.: 0.0

Cell and atoms, written as CIF:
```
data_Li5Hg4Au
_chemical_formula_sum 'Li5 Hg4 Au1'
_cell_length_a 3.2869
_cell_length_b 3.2869
_cell_length_c 16.5460
_cell_angle_alpha 90.00
_cell_angle_beta 90.00
_cell_angle_gamma 90.00
_symmetry_space_group_name_H-M 'P 1'
_symmetry_Int_Tables_number 1
loop_
_symmetry_equiv_pos_as_xyz
'x,y,z'
loop_
_atom_site_label
_atom_site_type_symbol
_atom_site_fract_x
_atom_site_fract_y
_atom_site_fract_z
Hg1 Hg 0.0000 0.0000 0.3975
Hg2 Hg 0.0000 0.0000 0.6025
Hg3 Hg 0.0000 0.0000 0.8073
Hg4 Hg 0.0000 0.0000 0.1927
Li1 Li 0.5000 0.5000 0.9134
Li2 Li 0.5000 0.5000 0.0866
Li3 Li 0.5000 0.5000 0.7058
Li4 Li 0.5000 0.5000 0.2942
Li5 Li 0.5000 0.5000 0.5000
Au1 Au 0.0000 0.0000 0.0000
```


Entry 1:
{
  "formula": "SiIr2Ru",
  "functional": "PBE",
  "state": "optimized geometry",
  "space_group": "C2/m (12)",
  "lattice": [[-2.759, -3.565, 0.211], [4.552, -0.841, -2.693], [1.670, -1.216, 1.818]],
  "species": ["Ir", "Ir", "Ru", "Si"],
  "frac_coords": [[0.000, 0.000, 0.000], [0.500, 0.000, 0.500], [0.000, 0.500, 0.500], [0.500, 0.500, 0.000]]
}

***

Entry 2:
{
  "formula": "SiIrRu2",
  "functional": "PBE",
  "state": "optimized geometry",
  "space_group": "I-42d (122)",
  "lattice": [[5.392, 0.000, 0.000], [0.000, 5.392, 0.000], [2.696, 2.696, 5.527]],
  "species": ["Ru", "Ru", "Ru", "Ru", "Si", "Si", "Ir", "Ir"],
  "frac_coords": [[0.615, 0.125, 0.250], [0.135, 0.625, 0.250], [0.375, 0.385, 0.750], [0.875, 0.865, 0.750], [0.500, 0.500, 0.000], [0.250, 0.750, 0.500], [0.000, 0.000, 0.000], [0.750, 0.250, 0.500]]
}

***

Entry 3:
{
  "formula": "SiIrRu3",
  "functional": "PBE",
  "state": "optimized geometry",
  "space_group": "Pm-3m (221)",
  "polymorph_energy_mev_per_atom": 0,
  "lattice": [[-3.512, -1.671, 1.842], [-1.292, -1.498, -3.821], [2.125, -3.672, 0.721]],
  "species": ["Ru", "Ru", "Ru", "Si", "Ir"],
  "frac_coords": [[0.000, 0.500, 0.000], [0.000, 0.000, 0.500], [0.500, 0.000, 0.000], [0.000, 0.000, 0.000], [0.500, 0.500, 0.500]]
}

***

Entry 4:
{
  "formula": "SiIrRu2",
  "functional": "PBE",
  "state": "optimized geometry",
  "space_group": "R3m (160)",
  "lattice": [[4.035, 0.000, 0.000], [2.017, 3.494, 0.000], [2.017, 1.165, 4.244]],
  "species": ["Si", "Ir", "Ru", "Ru"],
  "frac_coords": [[0.678, 0.678, 0.967], [0.489, 0.489, 0.534], [0.064, 0.064, 0.809], [0.270, 0.270, 0.191]]
}

***

Entry 5:
{
  "formula": "SiIr2Ru2",
  "functional": "PBE",
  "state": "optimized geometry",
  "space_group": "I4/mmm (139)",
  "polymorph_energy_mev_per_atom": 67,
  "lattice": [[-0.731, 1.284, 3.201], [-3.391, -0.865, -0.428], [-0.916, -5.548, 3.957]],
  "species": ["Ru", "Ru", "Si", "Ir", "Ir"],
'''
My mantra is that it’s never too late to get healthy, so whatever your age, your current state of health, or your weight – take heart! Sit back and enjoy the talk.
In the old days I always dreaded January, because it meant that I would have to go on yet another diet. All over again I’d be forced to get to grips with the weight I’d gained over the previous year. Then, when I reached fifty, I decided I’d let it slip. I’d probably read somewhere that once you get past the menopause weight gain is inevitable or that weight loss becomes too hard.
I’m here to tell you that was wrong. Fortunately, I realised, just in time and it’s that realisation – over ten years ago now – that triggered my retraining as a nutritionist. I worked my way through university, did the research and then eventually started helping other women like me to lose weight and retain their health, vitality and yes – self esteem!
But being overweight isn’t just about how you look – it’s about how you feel.
Firstly there is no evidence to show that it gets harder to lose weight as we grow older. In fact some studies show that after the age of fifty it gets a bit easier. But these studies should be treated with caution, healthy weight loss means loss of fat mass. However, as we get older our muscles tend naturally to decline and this can result in unhealthy weight loss. A loss of muscle mass is called sarcopenia and is associated with some serious medical issues, not least frailty.
The trick of weight loss for the over-fifties is to lose the fat and keep or even increase muscle mass. And the good news is that many studies are now showing that we can lose weight and increase muscle mass well into old age. And I’m talking way beyond fifty, into our 80s, 90’s and beyond. With the correct nutrition it seems to be something we can always improve on.
“But dieting is too hard,” I hear you say. And it is true that weight loss – the type that is sustainable and maintainable – does require most of us to turn over a new leaf. To be effective we need to discover how to eat healthily for our current age and body type. But millions of people do it every year. The reason why dieting has got such a bad name is that millions more try and don’t succeed. The main reasons they don’t succeed is because their reducing diet is unbalanced and unrelated to a long term eating strategy.
Materials data that have nothing to do with the page.
Entry 1:
# Cs3LaBi2O6

A relaxed structure of Cs3LaBi2O6 (PBE, Alexandria).

Results
energy relative to the elements, uncorrected: -1.79 eV/atom
total magnetization: 0.00 Bohr magnetons per cell

```
Cs3LaBi2O6
1.0
6.6002 0.0000 0.0000
-3.3001 5.7160 0.0000
0.0000 0.0000 8.0004
Cs La Bi O
3 1 2 6
Cartesian
0.0000 3.8106 5.2356
3.3001 1.9053 2.7648
0.0000 0.0000 0.0000
0.0000 0.0000 4.0002
3.3001 1.9053 6.4145
0.0000 3.8106 1.5859
1.6008 4.7348 2.5634
0.0000 1.9622 2.5634
-1.6008 4.7348 2.5634
3.3001 3.7537 5.4370
1.6993 0.9811 5.4370
4.9009 0.9811 5.4370
```

***

Entry 2:
# Cs2RhCl6

A relaxed structure of Cs2RhCl6 (PBE, Alexandria).

Results
energy relative to the elements, uncorrected: -1.13 eV/atom
total magnetization: 2.14 Bohr magnetons per cell

```
Cs2RhCl6
1.0
7.1124 0.0000 0.0000
0.0000 7.1124 0.0000
0.0000 0.0000 14.1237
Cs Rh Cl
4 2 12
Cartesian
0.0000 0.0000 4.7300
3.5562 3.5562 11.7918
3.5562 3.5562 2.3319
0.0000 0.0000 9.3938
0.0000 0.0000 0.0000
3.5562 3.5562 7.0619
2.3868 2.3868 5.3836
4.7256 4.7256 5.3836
1.1694 5.9430 12.4455
5.9430 1.1694 12.4455
1.1694 5.9430 1.6782
5.9430 1.1694 1.6782
2.3868 2.3868 8.7401
4.7256 4.7256 8.7401
1.6507 1.6507 0.0000
5.4617 5.4617 0.0000
1.9055 5.2069 7.0619
5.2069 1.9055 7.0619
```

***

Entry 3:
# KRu2Br

A relaxed structure of KRu2Br (PBE, Alexandria).

Results
energy relative to the elements, uncorrected: 0.72 eV/atom
total magnetization: 3.84 Bohr magnetons per cell

```
KRu2Br
1.0
6.2146 -0.1398 0.0233
2.2225 5.8053 -0.0233
-3.1957 -4.3561 3.0747
Br K Ru
1 1 2
Cartesian
4.7557 3.1934 0.0000
1.7195 2.2060 1.5257
7.7275 5.1891 0.0000
3.6944 -0.7807 1.5490
```

***

Entry 4:
# Sr3TlPb4

A relaxed structure of Sr3TlPb4 (PBE, Alexandria).

Results
total magnetization: 0.00 Bohr magnetons per cell
E_form: -0.340 eV per atom

```
Sr3TlPb4
1.0
4.6774 -0.0729 0.5968
-0.0753 4.8138 1.1651
0.5023 -0.4688 12.6365
Pb Sr Tl
4 3 1
Cartesian
0.7801 2.5259 10.8166
4.3243 1.7462 3.5818
1.2183 3.2325 7.8922
3.8861 1.0395 6.5062
3.2595 0.2722 9.7545
1.8448 3.9998 4.6440
2.3010 2.3704 0.8809
0.0000 0.0000 0.0000
```

***

Entry 5:
# LiCu2PO4

A relaxed structure of LiCu2PO4 (PBE, Alexandria).

Results
energy relative to the elements, uncorrected: -1.50 eV/atom
total magnetization: 0.00 Bohr magnetons per cell

```
LiCu2PO4
1.0
-2.7320 -4.1892 -0.9675
3.6528 -3.1064 3.1357
-3.3336 1.0394 4.9131
Li Cu P O
2 4 2 8
Cartesian
-1.0408 -4.7778 0.3045
-0.3584 -2.9997 4.0889
-1.6489 -5.7333 5.3984
-3.2388 -1.2424 3.8532
-1.3540 -1.8301 1.0753
-0.2001 -6.1850 3.2632
1.4221 -3.5756 1.7214
-2.7874 -4.1498 2.6840
2.2652 -2.3078 2.0252
0.1897 -3.2571 0.8178
-1.0342 -3.5824 5.8613
-4.2403 -3.9863 3.2533
-1.9653 -2.8642 2.9699
-2.1671 -5.4069 3.3709
-2.8071 -4.4332 1.1410
0.8662 -4.1749 3.0606
```

***

Entry 6:
# KTaAg

A relaxed structure of KTaAg (PBE, Alexandria).

Results
total magnetization: 3.02 Bohr magnetons per cell
E_form: 1.743 eV per atom

```
KTaAg
1.0
5.0089 0.0000 0.0000
2.5045 4.3379 0.0000
Our bodies are miraculous. Every day, every single human cell we possess monitors the nutrition we provide it and sends out signals if something is wrong. We receive immediate taste and digestive messages when food hits the palette or is passed through the stomach and into the intestines. Then there are intermediate term hormonal signals and cellular signals that turn off fat burning, or turn on muscle building, depending on what type of nutrients are swilling through the bloodstream. Finally there are long term and learned signals that come to the sophisticated cognitive part of our brain that works on the basis of information from the rest of the body and a learned response. So even if you’ve eaten enough calories on any particular day, your body may still send you food cravings to account for a specific nutrient that might have been missing from your diet. A well formulated diet will contain all the nutrients that the body needs, and thus reduce the chances of cravings.
┌──
An optimized crystal structure of KAlPb4, computed with PBE.

Computed properties:
Energy relative to the elements in eV per formula unit: 0.87
Fermi-level density of states in states/eV/atom: 0.36
VASP energy in eV per cell: -18.8
Total moment in μB per atom: 0.000

abc: 6.5696 6.5696 6.5696
angles: 60.00 60.00 60.00
Last column: nearest neighbours and their distance in Å.
Positions (direct):
K: 0.0000 0.0000 0.0000  12 Pb 3.85, 4 Al 4.02
Al: 0.2500 0.2500 0.2500  12 Pb 3.85, 4 K 4.02
Pb: 0.1257 0.6248 0.6248  6 Pb 3.28-3.29
Pb: 0.6248 0.1257 0.6248  6 Pb 3.28-3.29
Pb: 0.6248 0.6248 0.1257  6 Pb 3.28-3.29
Pb: 0.6248 0.6248 0.6248  6 Pb 3.28-3.29

An optimized crystal structure of Ce3InTe4, computed with PBE.

Computed properties:
ΔE_f (raw) in eV/atom: -1.109
Fermi-level density of states in states/eV/atom: 3.18
VASP energy in eV per cell: -42.0
Total moment in μB per atom: 0.409

abc: 6.4226 6.4226 6.4226
angles: 90.00 90.00 90.00
Last column: nearest neighbours and their distance in Å.
Positions (direct):
Ce: 0.0000 0.0000 0.5000  6 Te 3.21
Ce: 0.0000 0.5000 0.0000  6 Te 3.21
Ce: 0.5000 0.0000 0.0000  6 Te 3.21
In: 0.5000 0.5000 0.5000  6 Te 3.21
Te: 0.0000 0.0000 0.0000  6 Ce 3.21
Te: 0.0000 0.5000 0.5000  2 In 3.21, 4 Ce 3.21
Te: 0.5000 0.0000 0.5000  2 In 3.21, 4 Ce 3.21
Te: 0.5000 0.5000 0.0000  2 In 3.21, 4 Ce 3.21

An optimized crystal structure of AlAs3, computed with PBE.

Computed properties:
Energy relative to the elements in eV per formula unit: 0.87
Fermi-level density of states in states/eV/atom: 0.38
VASP energy in eV per cell: -16.8
Excess energy over the best structure of this formula in the dataset in meV/atom: 317.7
Total moment in μB per atom: 0.000

abc: 6.0245 6.0245 5.1279
angles: 95.67 95.67 26.98
Last column: nearest neighbours and their distance in Å.
Positions (direct):
Al: 0.0000 0.0000 0.0000  8 As 2.63-2.92, 2 Al 2.81
As: 0.3224 0.3224 0.8006  2 Al 2.63, 3 As 2.71-2.81
As: 0.5000 0.5000 0.5000  4 As 2.71-2.81, 4 Al 2.92
As: 0.6776 0.6776 0.1994  2 Al 2.63, 3 As 2.71-2.81

=====

Entry 1:
BeNbCoSn after structural relaxation. Source: the Open Quantum Materials Database, functional GGA-PBE.

Calculated values
energy relative to the lowest polymorph listed for this composition: 189 meV per atom

Lattice parameters (Å, degrees): 6.219 6.219 6.219 90.00 90.00 90.00
Space group F-43m (No. 216)
Unique sites:
Be  0.000  0.000  0.000 x4
Nb  0.250  0.250  0.250 x4
Co  0.250  0.250  0.750 x4
Sn  0.000  0.000  0.500 x4

Entry 2:
Na2CoAgH6 after structural relaxation. Source: the Open Quantum Materials Database, functional GGA-PBE.

Lattice parameters (Å, degrees): 7.104 7.104 7.104 90.00 90.00 90.00
Space group Fm-3m (No. 225)
Unique sites:
Na  0.250  0.250  0.250 x8
Co  0.000  0.000  0.000 x4
Ag  0.000  0.000  0.500 x4
H  0.000  0.000  0.222 x24

Entry 3:
Tl2CuAuCl6 after structural relaxation. Source: the Open Quantum Materials Database, functional GGA-PBE.
└──
The other reason why diets don’t work is because they don’t re-educate the body. For example diets that rely on manufactured meal replacements can be pretty easy to follow and can produce early weight loss. But when you go back to eating normally you won’t have re-learned any useful eating strategies and the likelihood is that you’ll pile the weight back on. So a good diet must be well balanced and must help the dieter to learn about how their body responds to different foods. A good diet will actually change your body composition to such an extent that it’ll change your tastes. Sugar and fat cravings will reduce and you’ll find yourself wanting fresh vegetables, salads or a nice piece of lean fish instead.
But in order to get to that point you need to take back control of your eating. In my clinic I will give a new client eating plans. The every time they come they learn a little more about how to eat a balanced and healthy diet. Over time the diet sheets are cast aside as the client themselves takes back complete control of their eating. This isn’t about counting calories or even food points. It’s about really understanding what constitutes a balanced and healthy diet for the individual. We are all different.
I hope that these podcasts will give you confidence to change your eating habits and return to a healthier lifestyle. The benefits are not simply measured in inches off the waist and fitting into a small dress size, though that’s quite a nice thing. Obesity, defined as a body mass index of greater than 30kg per metre squared, is the most significant predictor of diabetes type 2. Being fat is far more significant in diabetes that eating too much sugar, or eating too many carbohydrates.
In addition obesity is now recognised as a predictor of mortality, cardiac problems, joint failure, sleep apnoea, depression and even dementia. And if the prospect of obesity shortening life doesn’t concern some people, then the prospect of enduring a longer period of sickness and frailty in old age, might tip the scales for others.
Losing weight isn’t just about living longer, it’s about living the rest of your life more actively, more comfortably and more healthily.
The secret to losing weight, once you know that it certainly is possible and that it’s the healthy option, is about making the decision and taking back conscious control of your eating. President Obama in his famous Chicago election address said this, “I am asking you to believe. Not in my ability to bring about change — but in yours…” That’s what I’m asking my clients to do. To believe in themselves, to believe in their own ability to manage weight loss and then the maintenance that comes after.
Listen each month to a new podcast that will examine a different aspect of losing weight. Next month I’ll be asking the question, “What should I give up in order to lose weight?” You might be rather surprised by the answer. And if you can’t wait that long, then go to my website and book a one-to-one consultation. As Obama once memorably said, “Yes we can”.
Thanks to all our contributors, and to iCent for their fabulous music. This is wendy Shillam saying, thanks for listening.